February 2, 2011

City, school fight to receive more oil revenue

By Tina Foreman
Farmer Staff Writer

**Data records from another source follow**
- - -
Entry from the Materials Project: a relaxed LiV2OF5 crystal (PBE with a Hubbard U).

Cell lengths 5.242, 5.601, 11.605 Å; angles 99.31, 103.04, 90.04 degrees
Positions (direct):
Li  0.731  0.315  0.511
Li  0.944  0.414  0.833
Li  0.056  0.525  0.156
V  0.829  0.835  0.663
V  0.665  0.665  0.316
V  0.498  0.497  0.996
V  0.333  0.335  0.670
V  0.001  0.996  0.003
V  0.181  0.169  0.349
O  0.697  0.578  0.159
O  0.309  0.417  0.833
O  0.367  0.259  0.506
F  0.325  0.467  0.290
F  0.188  0.691  0.043
F  0.452  0.963  0.297
F  0.318  0.200  0.036
F  0.648  0.726  0.498
F  0.026  0.917  0.833
F  0.863  0.367  0.373
F  0.976  0.142  0.624
F  0.989  0.872  0.371
F  0.113  0.630  0.630
F  0.981  0.104  0.168
F  0.684  0.794  0.960
F  0.551  0.034  0.705
F  0.813  0.303  0.958
F  0.690  0.528  0.707

## Properties
SG   P1
Total magnetic moment   12.0 Bohr magnetons per cell
Relative energy among the computed polymorphs   50.3 meV/atom

=====

Entry from the Materials Project: a relaxed Li3V4O11F crystal (PBE with a Hubbard U).

Cell lengths 5.162, 5.218, 8.344 Å; angles 93.01, 96.10, 100.95 degrees
Positions (direct):
Li  0.138  0.622  0.862
Li  0.589  0.316  0.788
Li  0.647  0.085  0.374
V  0.737  0.905  0.977
V  0.828  0.692  0.557
V  0.269  0.409  0.452
V  0.302  0.184  0.038
O  0.973  0.984  0.510
O  0.384  0.988  0.870
O  0.983  0.768  0.061
O  0.492  0.705  0.432
O  0.745  0.722  0.757
O  0.108  0.524  0.625
O  0.453  0.482  0.987
O  0.239  0.251  0.251
O  0.500  0.265  0.555
O  0.948  0.205  0.937
O  0.587  0.024  0.143
F  0.877  0.462  0.362

## Properties
SG   P1
Total magnetic moment   0.0 Bohr magnetons per cell
Relative energy among the computed polymorphs   16.8 meV/atom

=====

Entry from the Materials Project: a relaxed Li2VO2F crystal (PBE with a Hubbard U).

Cell lengths 3.018, 8.921, 9.050 Å; angles 70.90, 90.00, 90.00 degrees
Positions (direct):
Li  0.000  0.255  0.902
Li  0.000  0.718  0.420
Li  0.000  0.275  0.591
Li  0.000  0.747  0.096
Li  0.500  0.498  0.633
Li  0.500  0.002  0.844
Li  0.500  0.502  0.367
Li  0.500  0.999  0.143
V  0.000  0.261  0.246
V  0.000  0.746  0.750
V  0.500  0.000  0.520
V  0.500  0.502  0.998
O  0.000  0.507  0.844
O  0.000  0.995  0.663
O  0.000  0.496  0.152
O  0.000  0.496  0.499
O  0.500  0.252  0.093
O  0.500  0.230  0.402
O  0.500  0.747  0.907
O  0.500  0.766  0.588
F  0.000  0.999  0.341
F  0.000  0.000  0.002
F  0.500  0.238  0.760
F  0.500  0.767  0.241

## Properties
SG   Pm
Total magnetic moment   8.0 Bohr magnetons per cell
Relative energy among the computed polymorphs   102.5 meV/atom

=====

Entry from the Materials Project: a relaxed Li2VO2F crystal (PBE with a Hubbard U).

Cell lengths 7.975, 7.975, 10.394 Å; angles 70.40, 70.40, 21.86 degrees
Positions (direct):
Li  0.924  0.924  0.698
Li  0.927  0.927  0.192
Li  0.562  0.562  0.038
Li  0.579  0.579  0.543
Li  0.074  0.074  0.296
Li  0.419  0.419  0.453
Li  0.436  0.436  0.971
Li  0.065  0.065  0.809
V  0.749  0.749  0.132
- - -
Watford City is located smack in the middle of an oil boom, and unless you’ve experienced the good and the bad of it, it’s difficult to understand why city and school district officials are fighting to keep more of the oil tax revenues here in Watford City.
The McKenzie County School District has 75 more students than it did last spring. That’s a great thing for a small school, except when you look at funding.
“Because the school district really has no source of income, we rely on state funding and funding from oil tax revenue,” says Steve Holen, McKenzie County School District No. 1 superintendent. “State funding comes in the form of a per pupil payment based on enrollment numbers from the previous spring. So this year the district received funding for 75 less students than we have now.”
As oil revenue increases, one would expect that the school district’s funding from oil tax revenue would increase. But that’s not the case, not for McKenzie County School District No.1 anyway.
“Last year, the Legislature changed the oil tax cap so that schools, cities and counties would receive more of the revenue,” says Holen. “However, unlike the city and county, once the school hits the cap, the money is put into the County Infrastructure Fund and can only be applied for to purchase buses.”
McKenzie County Public School District No. 1 met the caps a few years ago and has been a capped school ever since.
“Being a capped school, we have been working with a fixed income even though our expenses are going up,” adds Holen. “We are coming to a time when there are some small projects that need to be completed to free up some classroom space for our increasing enrollment. And without additional funding it is difficult to start new projects.”
Holen is hopeful that this year’s legislative session will allow the cap to be increased or allow schools to use the County Infrastructure Fund for things other than buses.
“If we were able to use the County Infrastructure Fund at the discretion of the county, that would really help us out,” states Holen. “We could use those funds for additional teaching staff and projects that we feel are very important.”
The Legislature has already defeated House Bill 1070, a bill that would have relaxed the language of the County Infrastructure Fund so that each county would have discretion over the funds. But Holen still has hope that additional funding will become available with a sister bill to House Bill 1070.
“We are still waiting to see what will happen with the remaining bill,” adds Holen. “It is a real uphill battle, but we are waging it now and I am hopeful that something positive will come out of this legislative session.”
Just as the school district is fighting for oil tax revenue, the city of Watford City is also fighting to get a bigger piece of the pie.
“The city has a cap of $750 per capita,” says Brent Sanford, Watford City mayor. “A bill to do away with the cap has already been defeated with a compromise bill still active. The compromise bill would increase the cap to $1,000 per capita.”
# Next to the page, the page also holds data records
____________
# NbFe2, optimized geometry, DFT meta-GGA r2SCAN
data_NbFe2
_chemical_formula_sum 'Nb4 Fe8'
_space_group_name_H-M_alt 'P 63/m m c'
_space_group_IT_number 194
_space_group_name_Hall '-P 6c 2c'
_cell_length_a 4.7769
_cell_length_b 4.7769
_cell_length_c 8.0776
_cell_angle_alpha 90.00
_cell_angle_beta 90.00
_cell_angle_gamma 120.00
loop_
_atom_site_label
_atom_site_type_symbol
_atom_site_fract_x
_atom_site_fract_y
_atom_site_fract_z
_atom_site_occupancy
Nb1 Nb 0.3333 0.6667 0.0669 1
Fe1 Fe 0.0000 0.0000 0.0000 1
Fe2 Fe 0.1703 0.3406 0.7500 1
# * V: 13.3 A^3/atom
# * M_tot: 0.279 μB/atom
# * E_tot: -17.7670 eV/atom


# NbFeO4, optimized geometry, DFT meta-GGA r2SCAN
data_NbFeO4
_chemical_formula_sum 'Nb4 Fe4 O16'
_space_group_name_H-M_alt 'C 1 2/m 1'
_space_group_IT_number 12
_cell_length_a 12.594
_cell_length_b 3.864
_cell_length_c 6.712
_cell_angle_alpha 90.00
_cell_angle_beta 107.48
_cell_angle_gamma 90.00
loop_
_space_group_symop_operation_xyz
'x,y,z'
'-x,-y,-z'
'-x,y,-z'
'x,-y,z'
'x+1/2,y+1/2,z'
'-x+1/2,-y+1/2,-z'
'-x+1/2,y+1/2,-z'
'x+1/2,-y+1/2,z'
loop_
_atom_site_label
_atom_site_type_symbol
_atom_site_fract_x
_atom_site_fract_y
_atom_site_fract_z
_atom_site_occupancy
Nb1 Nb 0.104 0.000 0.230 1
Fe1 Fe 0.197 0.000 0.812 1
O1 O 0.055 0.000 0.866 1
O2 O 0.136 0.500 0.202 1
O3 O 0.138 0.000 0.515 1
O4 O 0.244 0.500 0.854 1
# * V: 13.0 A^3/atom
# * M_tot: 0.833 μB/atom
# * E_tot: -12.7947 eV/atom


# Nb4FeSe8, optimized geometry, DFT meta-GGA r2SCAN
data_Nb4FeSe8
_chemical_formula_sum 'Nb16 Fe4 Se32'
_space_group_name_H-M_alt 'C m c m'
_space_group_IT_number 63
_space_group_name_Hall '-C 2c 2'
_cell_length_a 7.000
_cell_length_b 12.115
_cell_length_c 12.867
_cell_angle_alpha 90.00
_cell_angle_beta 90.00
_cell_angle_gamma 90.00
loop_
_atom_site_label
_atom_site_type_symbol
_atom_site_fract_x
_atom_site_fract_y
_atom_site_fract_z
_atom_site_occupancy
Nb1 Nb 0.000 0.001 0.250 1
Nb2 Nb 0.000 0.491 0.250 1
Nb3 Nb 0.236 0.254 0.250 1
Fe1 Fe 0.000 0.000 0.000 1
Se1 Se 0.000 0.167 0.623 1
Se2 Se 0.000 0.333 0.116 1
Se3 Se 0.247 0.416 0.622 1
# * V: 21.0 A^3/atom
# * M_tot: 0.240 μB/atom
# * E_tot: -18.4605 eV/atom


# Nd2Fe12P7, optimized geometry, DFT meta-GGA r2SCAN
data_Nd2Fe12P7
_chemical_formula_sum 'Nd2 Fe12 P7'
_space_group_name_H-M_alt 'P -6'
_space_group_IT_number 174
_cell_length_a 9.1783
_cell_length_b 9.1783
_cell_length_c 3.6875
_cell_angle_alpha 90.00
_cell_angle_beta 90.00
_cell_angle_gamma 120.00
loop_
_space_group_symop_operation_xyz
'x,y,z'
'-x+y,-x,-z'
'-y,x-y,z'
'x,y,-z'
'-x+y,-x,z'
'-y,x-y,-z'
loop_
_atom_site_label
_atom_site_type_symbol
_atom_site_fract_x
_atom_site_fract_y
_atom_site_fract_z
_atom_site_occupancy
Nd1 Nd 0.0000 0.0000 0.0000 1
Nd2 Nd 0.3333 0.6667 0.5000 1
Fe1 Fe 0.0488 0.7677 0.5000 1
Fe2 Fe 0.0858 0.3835 0.0000 1
Fe3 Fe 0.4507 0.2431 0.0000 1
Fe4 Fe 0.5069 0.0542 0.5000 1
P1 P 0.0718 0.6399 0.0000 1
P2 P 0.2586 0.0469 0.5000 1
P3 P 0.6667 0.3333 0.5000 1
# * V: 12.8 A^3/atom
# * M_tot: 0.114 μB/atom
____________
Sanford is hopeful for the increase to $1,000, but he knows that if the oil stays active and the community continues to grow, it won’t be enough.
“If the cap isn’t lifted, our revenue will be flat for the third year in a row,” states Sanford. “We can’t continue to support the current demands for service on the same revenue. The payroll for Watford City city employees has increased by $300,000 alone due to the need for increased city staff. We have been asked to compromise with the cap at $1,000, but that will only allow the city to break even.”
Sanford is concerned that if the caps aren’t lifted the city will be forced to fall behind on some of its maintenance projects which will only cause more expensive problems in the future.
“To not keep up with chip seals on the streets and other maintenance projects will set us up for some difficult decisions to come, and it simply isn’t good city planning,” comments Sanford. “Production tax comes from oil produced right here in McKenzie County. The problem is that we only receive 10 percent of the taxes from it, while the remaining 90 percent goes into the state’s General Fund where the Legislature gives it out to communities throughout the state.”
Sanford is concerned that if the Legislature doesn’t do something with the caps, that there won’t be enough money coming into Watford City for the city to continue the way it has.
Between two parts of the page: records of crystals
........
Arrangement P

## Li3V3P8O29 (GGA+U)

Data for a relaxed Li3V3P8O29 crystal.

Computed properties:
The total magnetic moment is 0.000 μB/atom. The volume comes out at 1176.3 Å³/cell. Its crystal system is triclinic.

Cell: 9.7560 9.7677 14.2214 Å, 90.04 90.05 119.78°
Space group P1 (No. 1)
One atom of each set of equivalent atoms:
Li 0.0000 0.0000 0.0000 [1 per cell]
Li 0.0055 0.5487 0.4893 [1 per cell]
Li 0.2276 0.3169 0.8825 [1 per cell]
Li 0.5939 0.1332 0.9967 [1 per cell]
Li 0.8307 0.4471 0.8812 [1 per cell]
Li 0.8992 0.1723 0.4311 [1 per cell]
V 0.3476 0.2242 0.6764 [1 per cell]
V 0.3493 0.6623 0.1867 [1 per cell]
V 0.4774 0.7915 0.6877 [1 per cell]
V 0.4782 0.2275 0.1983 [1 per cell]
V 0.9085 0.7889 0.1921 [1 per cell]
V 0.9135 0.6651 0.6862 [1 per cell]
P 0.0024 0.5390 0.2763 [1 per cell]
P 0.0058 0.0006 0.7798 [1 per cell]
P 0.1315 0.1409 0.2798 [1 per cell]
P 0.1418 0.5407 0.7810 [1 per cell]
P 0.2198 0.4537 0.5960 [1 per cell]
P 0.2332 0.3149 0.0984 [1 per cell]
P 0.2447 0.8874 0.5682 [1 per cell]
P 0.2474 0.8983 0.0708 [1 per cell]
P 0.5766 0.5541 0.8032 [1 per cell]
P 0.5782 0.5609 0.3081 [1 per cell]
P 0.5932 0.1381 0.7772 [1 per cell]
P 0.6077 0.9995 0.2815 [1 per cell]
P 0.6854 0.9128 0.0962 [1 per cell]
P 0.6944 0.3122 0.5951 [1 per cell]
P 0.8203 0.4526 0.0973 [1 per cell]
P 0.8262 0.9200 0.5990 [1 per cell]
O 0.0038 0.6986 0.2615 [1 per cell]
O 0.0135 0.8474 0.7563 [1 per cell]
O 0.0935 0.8932 0.1093 [1 per cell]
O 0.0960 0.7349 0.6107 [1 per cell]
O 0.1081 0.2167 0.3633 [1 per cell]
O 0.1154 0.2204 0.1834 [1 per cell]
O 0.1178 0.4328 0.6894 [1 per cell]
O 0.1234 0.4424 0.5127 [1 per cell]
O 0.1476 0.4563 0.8661 [1 per cell]
O 0.1596 0.2295 0.0083 [1 per cell]
O 0.1733 0.1469 0.7712 [1 per cell]
O 0.1737 0.5718 0.2667 [1 per cell]
O 0.2378 0.8783 0.4642 [1 per cell]
O 0.2409 0.0369 0.6095 [1 per cell]
O 0.2530 0.8999 0.9663 [1 per cell]
O 0.2553 0.7547 0.1174 [1 per cell]
O 0.2585 0.3166 0.6029 [1 per cell]
O 0.2590 0.4840 0.1035 [1 per cell]
O 0.2934 0.1447 0.2707 [1 per cell]
O 0.2949 0.6997 0.7624 [1 per cell]
O 0.3772 0.6110 0.6086 [1 per cell]
O 0.3907 0.3200 0.1194 [1 per cell]
O 0.3921 0.8927 0.6150 [1 per cell]
O 0.3938 0.0476 0.1142 [1 per cell]
O 0.4304 0.4047 0.7603 [1 per cell]
O 0.4324 0.5585 0.2615 [1 per cell]
O 0.4346 0.1315 0.7549 [1 per cell]
O 0.4521 0.8406 0.2688 [1 per cell]
O 0.5321 0.7529 0.1133 [1 per cell]
O 0.5327 0.3106 0.6069 [1 per cell]
O 0.5649 0.1339 0.2693 [1 per cell]
O 0.5693 0.9700 0.7707 [1 per cell]
O 0.5725 0.6991 0.7588 [1 per cell]
O 0.5788 0.5505 0.9075 [1 per cell]
O 0.5829 0.4124 0.2649 [1 per cell]
O 0.5839 0.5609 0.4119 [1 per cell]
O 0.6521 0.3064 0.1034 [1 per cell]
O 0.6518 0.8791 0.6078 [1 per cell]
O 0.6640 0.2220 0.8679 [1 per cell]
O 0.6792 0.9985 0.0117 [1 per cell]
O 0.7032 0.0230 0.3665 [1 per cell]
O 0.7095 0.2318 0.5116 [1 per cell]
O 0.7111 0.0175 0.1892 [1 per cell]
O 0.7117 0.2364 0.6930 [1 per cell]
O 0.7276 0.7094 0.2629 [1 per cell]
........
So much for the records of crystals
“We just can’t continue at this level,” states Sanford. “Without more revenue, we would have to stop paving the streets, and we won’t be able to match any of the projects that need incentives because we will be left without any reserves.”